Journal of the NACAA
ISSN 2158-9429
Volume 14, Issue 1 - June, 2021


Peer-Based Working Groups for Teaching Best Management Practices to Beef Producers

/*
A plane-wave DFT calculation with GGA-PBE was carried out for WN3Cl after structural relaxation.

Density of states at the Fermi level: 0.543 states/eV per atom
Formation energy (no corrections): 1059 meV/atom
Total DFT energy (no corrections): -6.896 eV/atom

Unit cell a=4.0227 b=4.0227 c=4.0227 alpha=90.00 beta=90.00 gamma=90.00
Closest atoms and distances in Å follow each position.
Fractional positions:
W 0.0000 0.0000 0.0000  6 N 2.01
N 0.0000 0.0000 0.5000  2 W 2.01
N 0.0000 0.5000 0.0000  2 W 2.01
N 0.5000 0.0000 0.0000  2 W 2.01
Cl 0.5000 0.5000 0.5000  12 N 2.84

---

A plane-wave DFT calculation with GGA-PBE was carried out for W2NCl after structural relaxation.

Density of states at the Fermi level: 0.880 states/eV per atom
Formation energy (no corrections): 1375 meV/atom
Total DFT energy (no corrections): -7.645 eV/atom

Unit cell a=4.1100 b=4.1100 c=4.1100 alpha=60.00 beta=60.00 gamma=60.00
Closest atoms and distances in Å follow each position.
Fractional positions:
W 0.2500 0.2500 0.2500  4 Cl 2.52, 4 N 2.52
W 0.7500 0.7500 0.7500  4 Cl 2.52, 4 N 2.52
N 0.0000 0.0000 0.0000  8 W 2.52
Cl 0.5000 0.5000 0.5000  8 W 2.52

---

A plane-wave DFT calculation with GGA-PBE was carried out for W2NCl2 after structural relaxation.

Density of states at the Fermi level: 1.157 states/eV per atom
Formation energy (no corrections): 2031 meV/atom
Total DFT energy (no corrections): -5.554 eV/atom

Unit cell a=7.0627 b=7.0627 c=2.9187 alpha=90.00 beta=90.00 gamma=90.00
Closest atoms and distances in Å follow each position.
Fractional positions:
W 0.1914 0.3086 0.0000  2 Cl 2.32
W 0.3086 0.8086 0.0000  2 Cl 2.32
W 0.6914 0.1914 0.0000  2 Cl 2.32
W 0.8086 0.6914 0.0000  2 Cl 2.32
N 0.0000 0.0000 0.5000  4 Cl 2.78, 2 N 2.92, 8 W 2.95
N 0.5000 0.5000 0.5000  4 Cl 2.78, 2 N 2.92, 8 W 2.95
Cl 0.1283 0.6283 0.5000  2 W 2.32, 1 Cl 2.56
Cl 0.3717 0.1283 0.5000  2 W 2.32, 1 Cl 2.56
Cl 0.6283 0.8717 0.5000  2 W 2.32, 1 Cl 2.56
Cl 0.8717 0.3717 0.5000  2 W 2.32, 1 Cl 2.56

---

A plane-wave DFT calculation with GGA-PBE was carried out for WNCl3 after structural relaxation.

Density of states at the Fermi level: 0.785 states/eV per atom
Formation energy (no corrections): 1765 meV/atom
Total DFT energy (no corrections): -3.598 eV/atom

Unit cell a=4.4417 b=4.4417 c=4.4417 alpha=90.00 beta=90.00 gamma=90.00
Closest atoms and distances in Å follow each position.
Fractional positions:
W 0.0000 0.0000 0.0000  12 Cl 3.14
N 0.5000 0.5000 0.5000  6 Cl 2.22
Cl 0.0000 0.5000 0.5000  2 N 2.22
Cl 0.5000 0.0000 0.5000  2 N 2.22
Cl 0.5000 0.5000 0.0000  2 N 2.22

---

A plane-wave DFT calculation with GGA-PBE was carried out for W2NCl after structural relaxation.

Density of states at the Fermi level: 0.098 states/eV per atom
Formation energy (no corrections): 547 meV/atom
Total DFT energy (no corrections): -8.472 eV/atom

Unit cell a=7.1965 b=7.1965 c=7.1965 alpha=145.11 beta=145.11 gamma=50.17
Closest atoms and distances in Å follow each position.
Fractional positions:
*/
Back to the text:

Mullenix, M.K., Extension Beef Specialist/Associate Professor, Alabama Cooperative Extension System
Jacobs, J.L, Graduate Research Assistant, Auburn University
Thompson, G.L., Animal Science and Forages Regional Extension Agent, Alabama Cooperative Extension System/Auburn University
Vining, T.P., Animal Science and Forages Regional Extension Agent, Alabama Cooperative Extension System/Auburn University
Marks, M.L., Animal Science and Forages Regional Extension Agent, Alabama Cooperative Extension System/Auburn University
Stanford, M.K., Extension Nutrient Management Specialist, Alabama Cooperative Extension System/Auburn University
Miller, D.S., County Extension Coordinator - Cherokee County, Alabama Cooperative Extension System/Auburn University


A peer-based study course entitled the Systems 360° Working Group Program was created for experienced beef cattle producers who desired to more in-depth learning about sustainable beef management practices in Alabama. Regional Extension agents coordinated planned visits to producer farms and university research centers that highlighted specific management practices and facilitated group discussion at those sites based on targeted curriculum to encourage peer-based learning. The use of a hands-on, peer-based learning model for beef cattle information delivery facilitated the adoption of best management practices. This model may serve as a framework for Extension educators who aim to provide challenging curriculum for experienced stakeholders.


Peer-to-peer learning networks offer a framework for facilitating shared knowledge, improving communication skills, developing reflective thinking skills, and providing a sense of togetherness in the development of a community of practice (Guldberg, 2008).  Peer educator-based Extension programming may create a learning environment that fosters empathetic relationship building, similar rhetoric for explaining concepts, and trust among peer learners (Grudens-Schuck et al., 2003). Nonformal agricultural management education through peer learning groups can provide opportunities in experiential learning, which may help learners apply conceptual information through shared experiences, reflective observation, and experimentation (Parr and Trexler, 2011; Strong et al., 2012). For example, successful forage study groups in the United States have reported that primary drivers of success using this model include the use of a formal facilitator, technical topic discussions, and hands-on learning through shared pasture walks on farms and financial analysis (Lane et al., 2012). The objective of the Alabama Beef Systems 360 Working Group Program was to provide experiential learning opportunities for beef producers to help facilitate potential adoption of herd best management practices in Alabama operations through adoption of peer-to-peer learning.


Program Delivery Methodology

Utilizing a pre-screening application process, producers were selected for the program based on their relative years of experience in the beef industry and previous participation in beef Extension educational events. The application was designed to help select more experienced producers who were ready to engage in higher-level educational programming related to beef production systems.

Four groups were formed and met in various regions of Alabama between 2016 and 2019. Following the selection of participants (n = 50 statewide across four peer-learning groups; 8 to 25 per group), a series of five meetings were organized per group to highlight technologies and strategies for agronomic, animal, and economic best management practices in beef cattle operations. Topics included forage management, watering systems, value-added calf marketing, animal handling facilities, and general herd management practices such as identification, genetics, and animal selection metrics. Working group meetings were conducted on selected private producer farms, generally of participants within the working group, or at Auburn University affiliated research centers that best highlighted these specific topics. The five meetings for each peer-learning group were held periodically from August through May in each calendar year.  An example of an individual meeting delivery format is described below using forage management as the topic of discussion:

  • Upon arrival to the meeting location, the agent introduced the topic of forage management or the designated discussion leader(s) for the day. If the meeting was not led by the agent, meeting discussion leaders were either producers in the working group, or Extension personnel who had expertise in the area of forage management.
  • Discussion leaders shared the learning objectives for the day with the group, and gave a brief overview of the activities the group would do as part of the meeting. Learning objectives for the forage management meeting included: 1) understanding forage management practices to extend the grazing season in beef cow-calf operations and 2) estimating nutrient returns from beef cattle grazing pastures under rotational stocking.
  • The discussion leader facilitated hands-on learning related to forage management by conducting a pasture walk to assess forage production and farm fencing infrastructure for rotational stocking of beef cow-calf pairs and creep-grazing. Participants had the opportunity to visually evaluate stand productivity pre- and post-grazing at the meeting location. In pastures that had recently been rotationally grazed, participants counted manure piles, weighed a subset of piles using a small field scale, and did a rough calculation of nutrient return from the manure to the pasture as a way to demonstrate potential nutrient distribution under rotational stocking. These activities were designed to use on-farm examples to highlight management concepts to program participants.  
  • In the field, participants were prompted to generate discussion regarding their experiences with practices being showcased. Prompts generally started with encouraging the audience to share experiences with forage management practices that have worked for extending the grazing season, followed by failures and areas where individuals would like to learn more.
  • At the conclusion of the field component, the day closed with final question prompts led by the Extension agent. Producers were asked to share what information they planned to apply from the meeting, and any opportunities or challenges they anticipated encountering in their operation related to the forage management practices that had been discussed at the meeting.



Figure 1. Working Group Participants Engaged in Selected Hands-On Learning Opportunities Related to Beef Production Systems Management


Initial Reactions and Program Satisfaction Data

A post-program survey provided immediately at the end of the last group meeting (n = 50 respondents; 100% response rate) indicated that 100% of participants felt this program met expectations and given the opportunity they would join another working group. Overall, 94% of respondents indicated that they planned to adopt one or more of the management practices discussed in the group in the subsequent 12 months. Top practices that producers planned to implement included improved winter grazing strategies, rotational stocking, water resource management and testing, and facilities design/animal handling.  Producers indicated that they learned the most from visits to their peers’ farms (29%) and from speakers/discussion leaders from Extension and allied industry partners (21%). Survey respondents were asked to estimate the dollars per head of beef cattle in savings realized through participation in the program. An economic impact per farm was calculated by multiplying the average savings per head of cattle owned/managed and the number of head per operation. Participants reported that knowledge gained from this program could potentially lead to a total farm economic impact averaging $6,095 of savings per operation. Mean herd and farm sizes represented by the program were 103 head of beef cattle and 191 ac per farm. The survey indicated a statewide cumulative economic impact of the program of $304,750 in reported potential savings.


Producer Adoption of Best Management Practices

A follow-up survey was conducted using Qualtrics with participants from one working group in north central Alabama one year after completion of the program to assess adoption of management practices covered in the program (n = 25 participants; 60% response rate). Table 1 reports the percentage increase in adoption of specific practices related to forage systems management, facilities improvements, and general herd management strategies.

Table 1. Beef Systems Management Practices Adopted by Participants from a North Central Alabama Working Group.

Management Practice

Adoption Rate (% Increase)a



Use of a Watering System


Planting of Cool-Season Annual Forages




Use of Electric Fencing


Improvements to Cattle Handling Facilities


Herd Management and Marketing


Change in Calf Marketing Strategy


Implementation of a Vaccination Protocol for Calves


aPercentage increase in number of participants implementing the practice on farm following participation in the working group discussion.


Participants surveyed had a mean 17 years (± 6) of experience in the beef business. Facilities management improvements (cattle processing facilities, grazing management tools/techniques, etc.) were the most widely-adopted practices among participants in this group (Table 1). This survey indicates that producers had a greater level of adoption of land or facilities improvements as a result of attending this educational series than other herd management applications. This could be in part due to a greater level of familiarity and satisfaction with their current herd health management and calf marketing program, whereas nutrition, forages, and animal facilities design were ranked as the top three topics of interest in closing surveys across all Systems Working Groups. Producer adoption of on-farm improved management practices demonstrates that producers were willing to move from the “knowledge gained” to the “actual application” phase after participating in the program.


Conclusions and Future Directions

This program provides an innovative and well-received approach to training stakeholders in the area of beef cattle management through an interactive, discussion-based educational model with Extension educators as facilitators for experiential learning opportunities. The program model may provide a framework for ongoing educational strategies with experienced stakeholders, and serve as an example for engaging with producers with “next-level” management concepts. Results of this program indicate that a peer-to-peer working group is an effective method for improving the understanding of beef production systems and enhancing actual on-farm adoption of beef operational management practices.



Grudens-Shuck, N., J. Cramer, D. Exner,  M. Shour. (2003). The New Adult Education: Bringing Peer Educators Up to Speed. Journal of Extension, Volume 41, Issue 4. Available at:

Guldberg, K. (2008). Adult learners and professional development: peer-to-peer learning in a networked community. International Journal of Lifelong Education. Volume 27, p.35-39. Available at:

Lane, W., J. Andrae., C. Hale, C. Teutsch, H. Straub. (2012). Forage study groups: Results of a national survey. Proceedings of the 68th American Forage and Grassland Council Annual Meeting. Louisville, Kentucky. Available at:

Parr, D.M., C.J. Trexler. (2011). Students’ experiential learning and use of student farms in sustainable agriculture education. J. Nat. Resour. Life Sci. Educ. Volume 40, p.172-180. Available at:

Strong, N. A., P. T. Oester, D. Shaw. (2012). Pest Scene Investigators: A Peer-Learning Effort to Improve Forest Health in Oregon. Journal of Extension. Volume 50, Issue 2. Available at: